The appointment of Ursula von der Leyen as the new President of the European Commission comes as a setback regarding all attempts to strengthen the European Parliament through the lead candidate, or Spitzenkandidaten, principle. In recent weeks, the proposal of the European Council has not only generated disenchantment and indignation, but has also raised many questions about the future of democracy in the EU. Yet on the evening of 26 May, there was much talk of change and a broad alliance of progressive political forces. The record election turnout was – quite rightly – seen as an indication of greater democratic legitimacy for the European Parliament and a sign that more and more people understand the need to deal with the most important issues at the European level, rather than nationally.
Despite hefty losses for the two largest political families – the European People’s Party (EPP) and the Progressive Alliance of Socialists and Democrats (S&D) – the Spitzenkandidaten of the EPP and the PES (Party of European Socialists), Manfred Weber and Frans Timmermans respectively, were confident. Both talked of the responsibility to bring a positive vision to life. After the results of the elections, however, it was also clear that the two largest parties were no longer in a position to divide up the top EU posts between them as, for the first time since 1979, they no longer enjoyed a majority in the Parliament.
The Liberals and the Greens came out of these elections stronger. Margrethe Vestager, hitherto Danish EU Commissioner for Competition and a member of the Liberals’ Spitzenteam, sent out a clear message on election night: new coalitions can be formed and the most important thing is to prepare for change. At the same time, the Greens’ leadership team, Ska Keller and Bas Eickhout, stressed their willingness to forge alliances to usher in change in the fields of climate protection, social justice and the rule of law.
The European Parliament was more or less in agreement as to how the top job at the Commission should be filled. A few days after the election, the chairs of the four largest groups, which together represent a clear pro-European majority, stated jointly that they would only support a Spitzenkandidat who had been put forward before the elections. This was a clear statement in favour of the procedure used five years ago to place Jean-Claude Juncker at the helm of the Commission. The principle of Spitzenkandidaten would not only give the European Commission increased democratic legitimacy, but would also give the Parliament greater influence over the decision-making process.
But as we know all too well, this was not how things turned out. Confidence and optimism are now thin on the ground. By proposing Ursula von der Leyen, the European Council decided against the lead candidate principle favoured by the European Parliament. For many voters, the nomination of von der Leyen was a massive disappointment. Particularly after such a high turnout rate, many people saw the European Council’s decision as a kick in the teeth for European democracy and a betrayal of the electorate.
Despite the justifiable disappointment, however, it must be borne in mind that it was a very difficult job the European Council had to do – and that the Parliament had its own share in. As the von der Leyen case illustrates perfectly, the appointment of the Commission President by the European Parliament is by no means a foregone conclusion.
The fateful absence of transnational lists
The appointment of the Commission President is based on article 17, paragraph 7 of the Treaty on European Union (TEU). [1] The Spitzenkandidaten procedure is not explicitly laid down in this. The European Council and Parliament are both involved in making the decision, with a right of proposal for the European Council – taking the election result into consideration. At the end of the process, the candidate is elected (or not) by the Parliament.
The Spitzenkandidaten process, therefore, is a specific interpretation of the treaty, which was not put into practice until the European elections in 2014 when, for the first time, most of the European parties entered their own champion in the race. The European Council’s nomination of Jean-Claude Juncker, the EPP lead candidate, is thus a historical one-off. In 2019, however, constellations and decisions made in the Parliament and European Council alike led to the collapse of this principle.
The Parliament itself laid a major foundation stone for this in February of last year, when MEPs voted against the introduction of transnational election lists. Certainly, almost all political groups continued to make the case for the Spitzenkandidaten process, but the vote against transnational lists actually played into the hands of the Heads of State or Government who were opposed to lead candidates. This was because without transnational lists, the lead candidates nominated by the European parties were returned only in their own countries, rather than EU-wide.
The EPP put another question mark by the selection of its own Spitzenkandidat. Compared with Jean-Claude Juncker – a long-serving former Prime Minister of Luxembourg and President of the Eurogroup – Manfred Weber lacked the profile of every Commission President up to that point. As Weber had no government experience on his CV, doubts were expressed immediately after his nomination by various Heads of State or Government. These doubts were voiced particularly loudly by the new Liberal driving force, the French President Emmanuel Macron, who had already said that he did not consider the Spitzenkandidaten principle mandatory and did not see Weber as future Commission President.
What clinched the matter was the fact that the two largest political groups no longer possessed an absolute majority and were no longer able to share out the top jobs among themselves. Instead, they are now reliant on the votes of the Liberals and, where there are dissenters in their own ranks, on those of the Greens – assuming they hope to draw upon the support of a dedicated pro-European majority. For weeks after the elections, no agreement could be reached on one joint candidate out of the pool of declared Spitzenkandidaten, because the three largest fractions – EPP, S&D and Liberals – all cherished hopes of leaping into the fray of the tough work at the European Council to seek a compromise. But the European Council would not have found a unanimous position of the European Parliament so easy to ignore.
Franco-German friction
One major reason behind the tough negotiations at the European Council was the unanimity between Germany and France that had initially been missing. Angela Merkel supported the lead candidate principle and initially made the case for Weber, against the French position. To demonstrate that his rejection of the German EPP candidate was not an anti-German move, Macron later spoke in favour of the German Defence Minister as a future Commission President. Macron and Merkel were thus able to make their peace over Ursula von der Leyen.
The French Head of State has long rated the German Defence Minister. She was one of very few CDU members who – unlike Angela Merkel or the new party chair, Annegret Kramp-Karrenbauer – gave an explicitly positive response to his speech at the Sorbonne on the future of the EU. Von der Leyen is also known to be a staunch proponent of a European Defence Union, which coincides with French efforts.
In spite of everything, the European Council cannot really be blamed for blocking the Spitzenkandidaten principle per se. Once it was clear that Manfred Weber would be unable to rally a majority behind him, there were some attempts to put Frans Timmermans forward, also with the backing of Angela Merkel and Emmanuel Macron. However, the move failed, partly because the EPP indicated that it would not be willing to confirm the S&D candidate and not, as was widely reported in the media, simply due to resistance from the Visegrád countries.
It is incorrect to state that efforts to seek compromise in the European Council were in themselves undemocratic. Unless and until the nation states merge into a European federal state, the European Council – comprised of the democratically elected Heads of State and Government of the member states of the EU – will continue to be one of the two central pillars of the democratically legitimate process of decision-making in the European Union, alongside the European Parliament, which is elected by direct universal suffrage of the EU citizens.
But what does come in for legitimate criticism is how the decision was reached by the European Council. It gave the impression that there was no programmatic thinking or visions for the future of the EU behind the rounds of personnel poker, but that under enormous time pressure, the 28 Heads of State or Government were capable only of agreeing on the lowest common denominator. Furthermore, the decision set the European Council on a clear collision course with the Parliament, putting the latter under massive pressure. The fact that right-wing nationalistic heads of government like Viktor Orbán came out so strongly in support of Ursula von der Leyen puts yet more strain on the democratic, pro-European alliance in the Parliament.
The result raises the question as to whether the time pressure to appoint a Commission President is really necessary, or whether a bit more time would lead to longer-lasting agreements in both the European Parliament and the European Council. It also remains to be seen how politically sustainable the overall staffing situation of the European Council is. The extent to which this proposal will allow major themes – climate crisis, rule of law, social justice and the asylum, refugee and migration policy of the EU – to be dealt with is questionable, to say the very least.
Given the global geopolitical situation, it would obviously be very useful if the EU institutions got back into work mode fairly quickly. The suggestion that the European Parliament was not allowed to vote against von der Leyen for reasons of state, however, is quite misplaced. The Parliament was entitled to respond to the European Council’s proposal and reject its candidate. [2]
# Records of crystals from another source follow
<<<
# SiAgCl2, optimized geometry, DFT PBE
# formation energy without anion corrections	181	meV per atom
# Fermi-level density of states	1.4	states/eV/f.u.
# excess energy over the best structure of this formula in the dataset	475	meV/atom
# energy	-11.2	eV/cell
data_SiAgCl2
_cell_length_a 4.8449
_cell_length_b 4.8449
_cell_length_c 4.8449
_cell_angle_alpha 60.00
_cell_angle_beta 60.00
_cell_angle_gamma 60.00
_symmetry_space_group_name_H-M 'P 1'
_symmetry_Int_Tables_number 1
loop_
_symmetry_equiv_pos_as_xyz
'x,y,z'
loop_
_atom_site_label
_atom_site_type_symbol
_atom_site_fract_x
_atom_site_fract_y
_atom_site_fract_z
Ag1 Ag 0.5000 0.5000 0.5000
Si1 Si 0.0000 0.0000 0.0000
Cl1 Cl 0.7500 0.7500 0.7500
Cl2 Cl 0.2500 0.2500 0.2500



# SiAgCl2, optimized geometry, DFT PBE
# formation energy without anion corrections	-19	meV per atom
# Fermi-level density of states	0.7	states/eV/f.u.
# excess energy over the best structure of this formula in the dataset	275	meV/atom
# energy	-12.0	eV/cell
data_SiAgCl2
_cell_length_a 8.1559
_cell_length_b 6.2097
_cell_length_c 3.2421
_cell_angle_alpha 58.88
_cell_angle_beta 112.92
_cell_angle_gamma 139.32
_symmetry_space_group_name_H-M 'P 1'
_symmetry_Int_Tables_number 1
loop_
_symmetry_equiv_pos_as_xyz
'x,y,z'
loop_
_atom_site_label
_atom_site_type_symbol
_atom_site_fract_x
_atom_site_fract_y
_atom_site_fract_z
Ag1 Ag 0.5000 0.5000 0.0000
Cl1 Cl 0.0000 0.0000 0.0000
Si1 Si 0.0000 0.5000 0.5000
Cl2 Cl 0.5000 0.0000 0.5000



# SiAgCl2, optimized geometry, DFT PBE
# formation energy without anion corrections	117	meV per atom
# Fermi-level density of states	1.3	states/eV/f.u.
# excess energy over the best structure of this formula in the dataset	411	meV/atom
# energy	-23.0	eV/cell
data_SiAgCl2
_cell_length_a 4.9233
_cell_length_b 4.9233
_cell_length_c 8.8053
_cell_angle_alpha 73.77
_cell_angle_beta 73.77
_cell_angle_gamma 90.00
_symmetry_space_group_name_H-M 'P 1'
_symmetry_Int_Tables_number 1
loop_
_symmetry_equiv_pos_as_xyz
'x,y,z'
loop_
_atom_site_label
_atom_site_type_symbol
_atom_site_fract_x
_atom_site_fract_y
_atom_site_fract_z
Cl1 Cl 0.3750 0.3852 0.7500
Si1 Si 0.2500 0.7500 0.5000
Cl2 Cl 0.1352 0.6250 0.2500
Si2 Si 0.5000 0.5000 0.0000
Cl3 Cl 0.8750 0.8648 0.7500
Ag1 Ag 0.0000 0.0000 0.0000
Cl4 Cl 0.6148 0.1250 0.2500
Ag2 Ag 0.7500 0.2500 0.5000



# SiAgCl2, optimized geometry, DFT PBE
# formation energy without anion corrections	45	meV per atom
# Fermi-level density of states	1.3	states/eV/f.u.
# excess energy over the best structure of this formula in the dataset	339	meV/atom
# energy	-11.8	eV/cell
data_SiAgCl2
_cell_length_a 3.4268
_cell_length_b 3.4268
_cell_length_c 8.2409
_cell_angle_alpha 90.00
_cell_angle_beta 90.00
_cell_angle_gamma 118.91
_symmetry_space_group_name_H-M 'P 1'
_symmetry_Int_Tables_number 1
loop_
_symmetry_equiv_pos_as_xyz
'x,y,z'
loop_
_atom_site_label
_atom_site_type_symbol
_atom_site_fract_x
_atom_site_fract_y
_atom_site_fract_z
Si1 Si 0.5000 0.5000 0.2500
Ag1 Ag 0.5000 0.5000 0.7500
>>>
On 16 July, von der Leyen was elected to the senior role of the Commission with 383 votes. She won nine votes more than she needed for an absolute majority, hence by no means all the votes of the pro-European camp. This fragile majority indicates that the new Commission President will have challenges to face in the coming months. If, in the future, she hopes to have a stable, democratic, pro-European majority behind her, she will need to win back the trust that was shattered in the breakdown of the Spitzenkandidaten procedure. To do this, she must respond to the demands of the pro-European fractions in her working programme, to bind the Commission’s right of legislation closely to the political majorities of the Parliament and thus leave behind the failed Spitzenkandidaten principle and reunite with the democratic mandate of the European elections. The speech made by von der Leyen before she was elected was a first step.
The European Parliament must now try to push forward the process of its own legal strengthening. It is now even more important to have transnational lists in place for the election of the next European Parliament, along with uniform voting rights in all EU member states. This is the only way that the Spitzenkandidaten principle stands any chance of truly living up to the promise of its name. If, at the next European elections, the voters know the people and programmes represented by the transnational lists, this would constitute a cornerstone for the Europeanisation of the national election campaigns. This would mean that the Spitzenkandidaten principle would not be dead and buried, but would be rebuilt on an even stronger foundation. Then the disappointment of recent weeks would not be in vain.
This article was firstly published by 'Blätter für deutsche und internationale Politik'.
[1] Art. 17 (7) TEU reads: "Taking into account the elections to the European Parliament and after having held the appropriate consultations, the European Council, acting by a qualified majority, shall propose to the European Parliament a candidate President of the Commission. This candidate shall be elected by the European Parliament by a majority of its component members."
[2] Art. 17 (7) TEU also makes provision for the event that the candidate for Commission President is rejected: "If he [this candidate] does not obtain the required majority, the European Council, acting by a qualified majority, shall within one month propose a new candidate who shall be elected by the European Parliament following the same procedure."